# 1
# Mn2V3NiP6O24
Computed powder X-ray diffraction pattern, Cu Kα, 1.54184 Å. Input: DFT lattice parameters and positions (PBE+U).
Peak positions follow from Bragg's law for the DFT cell and can differ from measured ones.

Structure:
```
Mn2V3NiP6O24
1.0
4.3114 2.4892 7.0057
-4.3114 2.4892 7.0057
0.0000 -4.9784 7.0057
Mn V Ni P O
2 3 1 6 24
direct
0.0000 0.0000 0.0000
0.4970 0.4970 0.4970
0.1462 0.1462 0.1462
0.6436 0.6436 0.6436
0.8559 0.8559 0.8559
0.3574 0.3574 0.3574
0.0414 0.7521 0.4591
0.2525 0.5437 0.9599
0.4591 0.0414 0.7521
0.5437 0.9599 0.2525
0.7521 0.4591 0.0414
0.9599 0.2525 0.5437
0.0534 0.9204 0.2660
0.0855 0.7382 0.9320
0.1147 0.3049 0.5172
0.1952 0.3791 0.9962
0.2326 0.5931 0.4486
0.2660 0.0534 0.9204
0.3049 0.5172 0.1147
0.3791 0.9962 0.1952
0.4156 0.5600 0.7617
0.4486 0.2326 0.5931
0.4974 0.8782 0.6939
0.5172 0.1147 0.3049
0.5600 0.7617 0.4156
0.5931 0.4486 0.2326
0.6178 0.9935 0.8210
0.6939 0.4974 0.8782
0.7382 0.9320 0.0855
0.7617 0.4156 0.5600
0.8210 0.6178 0.9935
0.8782 0.6939 0.4974
0.9204 0.2660 0.0534
0.9320 0.0855 0.7382
0.9935 0.8210 0.6178
0.9962 0.1952 0.3791
```

Main lines, by intensity (2θ from 10° to 90°):
d = 3.672 Å, 2θ = 24.24°, intensity 100
d = 4.310 Å, 2θ = 20.61°, intensity 86
d = 2.719 Å, 2θ = 32.94°, intensity 73
d = 2.489 Å, 2θ = 36.09°, intensity 35
d = 1.923 Å, 2θ = 47.27°, intensity 28
d = 1.836 Å, 2θ = 49.65°, intensity 27
d = 1.629 Å, 2θ = 56.47°, intensity 24
d = 1.478 Å, 2θ = 62.90°, intensity 17
d = 2.797 Å, 2θ = 31.99°, intensity 16
d = 3.518 Å, 2θ = 25.31°, intensity 15

=====

# 2
# MgUMo4O16
Computed powder X-ray diffraction pattern, Cu Kα, 1.54184 Å. Input: DFT lattice parameters and positions (PBE+U).
Peak positions follow from Bragg's law for the DFT cell and can differ from measured ones.

Structure:
```
MgUMo4O16
1.0
7.9808 0.0000 0.0000
0.0000 6.6274 0.0000
-7.9111 0.0000 11.6071
Mg U Mo O
2 2 8 32
direct
0.0000 0.2023 0.2500
0.0000 0.7977 0.7500
0.5000 0.2047 0.2500
0.5000 0.7953 0.7500
0.1875 0.3220 0.9014
0.1875 0.6780 0.4014
0.3030 0.3286 0.5891
0.3030 0.6714 0.0891
0.6970 0.3286 0.9109
0.6970 0.6714 0.4109
0.8125 0.3220 0.5986
0.8125 0.6780 0.0986
0.0000 0.4427 0.7500
0.0000 0.5573 0.2500
0.0895 0.3432 0.5964
0.0895 0.6568 0.0964
0.1308 0.0667 0.8679
0.1308 0.9333 0.3679
0.1829 0.3424 0.4324
0.1829 0.6576 0.9324
0.2691 0.2023 0.2516
0.2691 0.7977 0.7516
0.3132 0.3467 0.0659
0.3132 0.6533 0.5659
0.3754 0.0700 0.6277
0.3754 0.9300 0.1277
0.4130 0.3480 0.9041
0.4130 0.6520 0.4041
0.5000 0.4415 0.7500
0.5000 0.5585 0.2500
0.5870 0.3480 0.5959
0.5870 0.6520 0.0959
0.6246 0.0700 0.8723
0.6246 0.9300 0.3723
0.6868 0.3467 0.4341
0.6868 0.6533 0.9341
0.7309 0.2023 0.2484
0.7309 0.7977 0.7484
0.8171 0.3424 0.0676
0.8171 0.6576 0.5676
0.8692 0.0667 0.6321
0.8692 0.9333 0.1321
0.9105 0.3432 0.9036
0.9105 0.6568 0.4036
```

Main lines, by intensity (2θ from 10° to 90°):
d = 3.341 Å, 2θ = 26.68°, intensity 100
d = 3.990 Å, 2θ = 22.28°, intensity 92
d = 6.608 Å, 2θ = 13.40°, intensity 37
d = 3.830 Å, 2θ = 23.22°, intensity 32
d = 2.553 Å, 2θ = 35.15°, intensity 32
d = 5.099 Å, 2θ = 17.39°, intensity 27
d = 2.568 Å, 2θ = 34.93°, intensity 25
d = 3.314 Å, 2θ = 26.91°, intensity 25
d = 3.186 Å, 2θ = 28.00°, intensity 24
d = 6.558 Å, 2θ = 13.50°, intensity 22

=====

# 3
# NiSO11
Computed powder X-ray diffraction pattern, Cu Kα, 1.54184 Å. Input: DFT lattice parameters and positions (PBE+U).
Peak positions follow from Bragg's law for the DFT cell and can differ from measured ones.

Structure:
```
NiSO11
1.0
6.5841 0.0000 0.0000
0.0000 11.1423 0.0000
0.0000 0.0000 12.4694
Ni S O
4 4 44
direct
0.1791 0.1167 0.2892
0.3209 0.8833 0.7892
0.6791 0.3833 0.7108
0.8209 0.6167 0.2108
0.2470 0.5758 0.4723
0.2530 0.4242 0.9723
0.7470 0.9242 0.5277
0.7530 0.0758 0.0277
0.0070 0.6953 0.0839
0.0194 0.8572 0.8104
0.0298 0.2390 0.6708
0.0402 0.4373 0.9362
0.0852 0.9796 0.2745
0.1236 0.1864 0.7459
0.1252 0.4717 0.4324
0.1286 0.1288 0.4572
0.1672 0.6918 0.4322
0.1700 0.1923 0.1756

Set down all of the entries earlier on verbatim, please.

# 1
# Mn2V3NiP6O24
Computed powder X-ray diffraction pattern, Cu Kα, 1.54184 Å. Input: DFT lattice parameters and positions (PBE+U).
Peak positions follow from Bragg's law for the DFT cell and can differ from measured ones.

Structure:
```
Mn2V3NiP6O24
1.0
4.3114 2.4892 7.0057
-4.3114 2.4892 7.0057
0.0000 -4.9784 7.0057
Mn V Ni P O
2 3 1 6 24
direct
0.0000 0.0000 0.0000
0.4970 0.4970 0.4970
0.1462 0.1462 0.1462
0.6436 0.6436 0.6436
0.8559 0.8559 0.8559
0.3574 0.3574 0.3574
0.0414 0.7521 0.4591
0.2525 0.5437 0.9599
0.4591 0.0414 0.7521
0.5437 0.9599 0.2525
0.7521 0.4591 0.0414
0.9599 0.2525 0.5437
0.0534 0.9204 0.2660
0.0855 0.7382 0.9320
0.1147 0.3049 0.5172
0.1952 0.3791 0.9962
0.2326 0.5931 0.4486
0.2660 0.0534 0.9204
0.3049 0.5172 0.1147
0.3791 0.9962 0.1952
0.4156 0.5600 0.7617
0.4486 0.2326 0.5931
0.4974 0.8782 0.6939
0.5172 0.1147 0.3049
0.5600 0.7617 0.4156
0.5931 0.4486 0.2326
0.6178 0.9935 0.8210
0.6939 0.4974 0.8782
0.7382 0.9320 0.0855
0.7617 0.4156 0.5600
0.8210 0.6178 0.9935
0.8782 0.6939 0.4974
0.9204 0.2660 0.0534
0.9320 0.0855 0.7382
0.9935 0.8210 0.6178
0.9962 0.1952 0.3791
```

Main lines, by intensity (2θ from 10° to 90°):
d = 3.672 Å, 2θ = 24.24°, intensity 100
d = 4.310 Å, 2θ = 20.61°, intensity 86
d = 2.719 Å, 2θ = 32.94°, intensity 73
d = 2.489 Å, 2θ = 36.09°, intensity 35
d = 1.923 Å, 2θ = 47.27°, intensity 28
d = 1.836 Å, 2θ = 49.65°, intensity 27
d = 1.629 Å, 2θ = 56.47°, intensity 24
d = 1.478 Å, 2θ = 62.90°, intensity 17
d = 2.797 Å, 2θ = 31.99°, intensity 16
d = 3.518 Å, 2θ = 25.31°, intensity 15

=====

# 2
# MgUMo4O16
Computed powder X-ray diffraction pattern, Cu Kα, 1.54184 Å. Input: DFT lattice parameters and positions (PBE+U).
Peak positions follow from Bragg's law for the DFT cell and can differ from measured ones.

Structure:
```
MgUMo4O16
1.0
7.9808 0.0000 0.0000
0.0000 6.6274 0.0000
-7.9111 0.0000 11.6071
Mg U Mo O
2 2 8 32
direct
0.0000 0.2023 0.2500
0.0000 0.7977 0.7500
0.5000 0.2047 0.2500
0.5000 0.7953 0.7500
0.1875 0.3220 0.9014
0.1875 0.6780 0.4014
0.3030 0.3286 0.5891
0.3030 0.6714 0.0891
0.6970 0.3286 0.9109
0.6970 0.6714 0.4109
0.8125 0.3220 0.5986
0.8125 0.6780 0.0986
0.0000 0.4427 0.7500
0.0000 0.5573 0.2500
0.0895 0.3432 0.5964
0.0895 0.6568 0.0964
0.1308 0.0667 0.8679
0.1308 0.9333 0.3679
0.1829 0.3424 0.4324
0.1829 0.6576 0.9324
0.2691 0.2023 0.2516
0.2691 0.7977 0.7516
0.3132 0.3467 0.0659
0.3132 0.6533 0.5659
0.3754 0.0700 0.6277
0.3754 0.9300 0.1277
0.4130 0.3480 0.9041
0.4130 0.6520 0.4041
0.5000 0.4415 0.7500
0.5000 0.5585 0.2500
0.5870 0.3480 0.5959
0.5870 0.6520 0.0959
0.6246 0.0700 0.8723
0.6246 0.9300 0.3723
0.6868 0.3467 0.4341
0.6868 0.6533 0.9341
0.7309 0.2023 0.2484
0.7309 0.7977 0.7484
0.8171 0.3424 0.0676
0.8171 0.6576 0.5676
0.8692 0.0667 0.6321
0.8692 0.9333 0.1321
0.9105 0.3432 0.9036
0.9105 0.6568 0.4036
```

Main lines, by intensity (2θ from 10° to 90°):
d = 3.341 Å, 2θ = 26.68°, intensity 100
d = 3.990 Å, 2θ = 22.28°, intensity 92
d = 6.608 Å, 2θ = 13.40°, intensity 37
d = 3.830 Å, 2θ = 23.22°, intensity 32
d = 2.553 Å, 2θ = 35.15°, intensity 32
d = 5.099 Å, 2θ = 17.39°, intensity 27
d = 2.568 Å, 2θ = 34.93°, intensity 25
d = 3.314 Å, 2θ = 26.91°, intensity 25
d = 3.186 Å, 2θ = 28.00°, intensity 24
d = 6.558 Å, 2θ = 13.50°, intensity 22

=====

# 3
# NiSO11
Computed powder X-ray diffraction pattern, Cu Kα, 1.54184 Å. Input: DFT lattice parameters and positions (PBE+U).
Peak positions follow from Bragg's law for the DFT cell and can differ from measured ones.

Structure:
```
NiSO11
1.0
6.5841 0.0000 0.0000
0.0000 11.1423 0.0000
0.0000 0.0000 12.4694
Ni S O
4 4 44
direct
0.1791 0.1167 0.2892
0.3209 0.8833 0.7892
0.6791 0.3833 0.7108
0.8209 0.6167 0.2108
0.2470 0.5758 0.4723
0.2530 0.4242 0.9723
0.7470 0.9242 0.5277
0.7530 0.0758 0.0277
0.0070 0.6953 0.0839
0.0194 0.8572 0.8104
0.0298 0.2390 0.6708
0.0402 0.4373 0.9362
0.0852 0.9796 0.2745
0.1236 0.1864 0.7459
0.1252 0.4717 0.4324
0.1286 0.1288 0.4572
0.1672 0.6918 0.4322
0.1700 0.1923 0.1756